# 1
NaAuS: optimized geometry, PBE-GGA.

Results
- symmetry = No. 68

Unit cell a=13.0699 b=13.0699 c=7.1917 alpha=90.00 beta=90.00 gamma=110.60
Positions (direct):
Na 0.0056 0.3738 0.3409
Na 0.4944 0.1262 0.1591
Na 0.3738 0.0056 0.6591
Na 0.8738 0.5056 0.8409
Na 0.2509 0.2509 0.0000
Na 0.7491 0.7491 0.0000
Na 0.8873 0.1127 0.5000
Na 0.6127 0.3873 0.0000
Na 0.6262 0.9944 0.6591
Na 0.5056 0.8738 0.1591
Na 0.9944 0.6262 0.3409
Na 0.7509 0.7509 0.5000
Na 0.3873 0.6127 0.0000
Na 0.1127 0.8873 0.5000
Na 0.2491 0.2491 0.5000
Na 0.1262 0.4944 0.8409
Au 0.7500 0.2500 0.7500
Au 0.7442 0.4967 0.4705
Au 0.0033 0.7558 0.9705
Au 0.2558 0.5033 0.4705
Au 0.2500 0.7500 0.2500
Au 0.5033 0.2558 0.5295
Au 0.7500 0.2500 0.2500
Au 0.7558 0.0033 0.0295
Au 0.2500 0.7500 0.7500
Au 0.5000 0.5000 0.7191
Au 0.2442 0.9967 0.0295
Au 0.0000 0.0000 0.7809
Au 0.0000 0.0000 0.2191
Au 0.9967 0.2442 0.9705
Au 0.5000 0.5000 0.2809
Au 0.4967 0.7442 0.5295
S 0.3185 0.9395 0.2872
S 0.4395 0.8185 0.7872
S 0.5605 0.1815 0.7872
S 0.9395 0.3185 0.7128
S 0.5664 0.6913 0.2609
S 0.9336 0.8087 0.2391
S 0.3087 0.4336 0.7391
S 0.1913 0.0664 0.7609
S 0.6815 0.0605 0.2872
S 0.0664 0.1913 0.2391
S 0.4336 0.3087 0.2609
S 0.6913 0.5664 0.7391
S 0.0605 0.6815 0.7128
S 0.8087 0.9336 0.7609
S 0.1815 0.5605 0.2128
S 0.8185 0.4395 0.2128

# 2
MgMoW3Se6S2: optimized geometry, PBE-GGA.

Results
- symmetry = No. 156

Unit cell a=3.2890 b=3.2890 c=46.2688 alpha=89.99 beta=90.00 gamma=120.00
Positions (direct):
Mg 0.0000 0.0000 0.5594
S 0.6666 0.3332 0.4949
S 0.6667 0.3333 0.4286
Se 0.3333 0.6667 0.3185
Se 0.3334 0.6667 0.7020
Se 0.6665 0.3334 0.0572
Se 0.3335 0.6668 0.2455
Se 0.6665 0.3331 0.1304
Se 0.3335 0.6668 0.6285
W 0.6668 0.3334 0.6653
W 0.3333 0.6666 0.4617
W 0.3332 0.6666 0.0938
Mo 0.6667 0.3334 0.2820

# 3
TiH12C2N6F6: optimized geometry, PBE-GGA.

Results
- symmetry = No. 8

Unit cell a=7.4791 b=7.4791 c=6.3103 alpha=69.13 beta=69.13 gamma=59.71
Positions (direct):
H 0.2341 0.9238 0.8496
H 0.2335 0.4676 0.8629
H 0.9407 0.3930 0.3234
H 0.3930 0.9407 0.3234
H 0.6266 0.9493 0.3075
H 0.9180 0.4687 0.8563
H 0.3938 0.6293 0.3307
H 0.4676 0.2335 0.8629
H 0.9493 0.6266 0.3075
H 0.6293 0.3938 0.3307
H 0.4687 0.9180 0.8563
H 0.9238 0.2341 0.8496
N 0.3103 0.0000 0.8617
N 0.5550 0.5550 0.3102
N 0.5551 0.8681 0.2976
N 0.3072 0.3072 0.8770
N 0.8681 0.5551 0.2976
N 0.0000 0.3103 0.8617
F 0.7751 0.7751 0.7561
F 0.0996 0.7383 0.3835
F 0.1289 0.7718 0.7796
F 0.7383 0.0996 0.3835
F 0.7718 0.1289 0.7796
F 0.0924 0.0924 0.4029
Ti 0.9336 0.9336 0.5815
C 0.2066 0.2066 0.8644
C 0.6595 0.6595 0.3047

Next, quote the listing above from the first line to the one with "0.3103 0.0000" exactly.

# 1
NaAuS: optimized geometry, PBE-GGA.

Results
- symmetry = No. 68

Unit cell a=13.0699 b=13.0699 c=7.1917 alpha=90.00 beta=90.00 gamma=110.60
Positions (direct):
Na 0.0056 0.3738 0.3409
Na 0.4944 0.1262 0.1591
Na 0.3738 0.0056 0.6591
Na 0.8738 0.5056 0.8409
Na 0.2509 0.2509 0.0000
Na 0.7491 0.7491 0.0000
Na 0.8873 0.1127 0.5000
Na 0.6127 0.3873 0.0000
Na 0.6262 0.9944 0.6591
Na 0.5056 0.8738 0.1591
Na 0.9944 0.6262 0.3409
Na 0.7509 0.7509 0.5000
Na 0.3873 0.6127 0.0000
Na 0.1127 0.8873 0.5000
Na 0.2491 0.2491 0.5000
Na 0.1262 0.4944 0.8409
Au 0.7500 0.2500 0.7500
Au 0.7442 0.4967 0.4705
Au 0.0033 0.7558 0.9705
Au 0.2558 0.5033 0.4705
Au 0.2500 0.7500 0.2500
Au 0.5033 0.2558 0.5295
Au 0.7500 0.2500 0.2500
Au 0.7558 0.0033 0.0295
Au 0.2500 0.7500 0.7500
Au 0.5000 0.5000 0.7191
Au 0.2442 0.9967 0.0295
Au 0.0000 0.0000 0.7809
Au 0.0000 0.0000 0.2191
Au 0.9967 0.2442 0.9705
Au 0.5000 0.5000 0.2809
Au 0.4967 0.7442 0.5295
S 0.3185 0.9395 0.2872
S 0.4395 0.8185 0.7872
S 0.5605 0.1815 0.7872
S 0.9395 0.3185 0.7128
S 0.5664 0.6913 0.2609
S 0.9336 0.8087 0.2391
S 0.3087 0.4336 0.7391
S 0.1913 0.0664 0.7609
S 0.6815 0.0605 0.2872
S 0.0664 0.1913 0.2391
S 0.4336 0.3087 0.2609
S 0.6913 0.5664 0.7391
S 0.0605 0.6815 0.7128
S 0.8087 0.9336 0.7609
S 0.1815 0.5605 0.2128
S 0.8185 0.4395 0.2128

# 2
MgMoW3Se6S2: optimized geometry, PBE-GGA.

Results
- symmetry = No. 156

Unit cell a=3.2890 b=3.2890 c=46.2688 alpha=89.99 beta=90.00 gamma=120.00
Positions (direct):
Mg 0.0000 0.0000 0.5594
S 0.6666 0.3332 0.4949
S 0.6667 0.3333 0.4286
Se 0.3333 0.6667 0.3185
Se 0.3334 0.6667 0.7020
Se 0.6665 0.3334 0.0572
Se 0.3335 0.6668 0.2455
Se 0.6665 0.3331 0.1304
Se 0.3335 0.6668 0.6285
W 0.6668 0.3334 0.6653
W 0.3333 0.6666 0.4617
W 0.3332 0.6666 0.0938
Mo 0.6667 0.3334 0.2820

# 3
TiH12C2N6F6: optimized geometry, PBE-GGA.

Results
- symmetry = No. 8

Unit cell a=7.4791 b=7.4791 c=6.3103 alpha=69.13 beta=69.13 gamma=59.71
Positions (direct):
H 0.2341 0.9238 0.8496
H 0.2335 0.4676 0.8629
H 0.9407 0.3930 0.3234
H 0.3930 0.9407 0.3234
H 0.6266 0.9493 0.3075
H 0.9180 0.4687 0.8563
H 0.3938 0.6293 0.3307
H 0.4676 0.2335 0.8629
H 0.9493 0.6266 0.3075
H 0.6293 0.3938 0.3307
H 0.4687 0.9180 0.8563
H 0.9238 0.2341 0.8496
N 0.3103 0.0000 0.8617